The following is a DFT calculation (PBE) of a geometry-optimized La3U2O10 structure.

Relative energy among the computed polymorphs (eV per formula unit): 0.000
Space group: P-1 (2)

a b c (Å): 6.8510 7.8042 8.7303
angles (deg): 101.68 97.78 107.13
With the nearest neighbours (Å) after each atom.
Element x y z (fractional)
O1 0.2769 0.1544 0.7485  2 U 2.24-2.37, 1 La 2.50
O2 0.4413 0.0026 0.1642  1 U 2.13
O3 0.0476 0.2284 0.3467  4 La 2.35-2.41
U1 0.5974 0.1971 0.6978  6 O 2.12-2.31
La1 0.1990 0.8968 0.8963  8 O 2.35-2.57
O4 0.7459 0.4002 0.2330  1 U 2.10
U2 0.4026 0.8029 0.3022  6 O 2.12-2.31
O5 0.4407 0.5345 0.1323  3 U 2.25-2.44
O6 0.8536 0.3444 0.9476  3 U 2.29-2.43, 1 La 2.51, 3 O 2.52-2.55
O7 0.0581 0.7296 0.3239  2 U 2.29-2.30, 1 La 2.51, 1 O 2.52
O8 0.9419 0.2704 0.6761  2 U 2.29-2.30, 1 La 2.51, 1 O 2.52
U3 0.1996 0.4031 0.9029  5 O 2.10-2.29
La2 0.0000 0.5000 0.5000  8 O 2.40-2.57
O9 0.7231 0.8456 0.2515  2 U 2.24-2.37, 1 La 2.50
O10 0.9524 0.7716 0.6533  4 La 2.35-2.41
O11 0.2541 0.5998 0.7670  1 U 2.10
O12 0.6383 0.3988 0.5647  1 U 2.12
O13 0.5587 0.9974 0.8358  1 U 2.13
La3 0.8010 0.1032 0.1037  8 O 2.35-2.57
O14 0.5593 0.4655 0.8677  3 U 2.25-2.44
O15 0.8497 0.8058 0.9718  1 U 2.11
O16 0.6387 0.9388 0.5430  2 U 2.30-2.31, 1 O 2.46, 2 La 2.47-2.50
O17 0.3613 0.0612 0.4570  2 U 2.30-2.31, 1 O 2.46, 2 La 2.47-2.50
La4 0.6083 0.7011 0.7006  8 O 2.37-2.54
La5 0.3917 0.2989 0.2994  8 O 2.37-2.54
O18 0.1464 0.6556 0.0524  3 U 2.29-2.43, 1 La 2.51, 3 O 2.52-2.55
O19 0.1503 0.1942 0.0282  1 U 2.11
U4 0.8004 0.5969 0.0971  5 O 2.10-2.29
O20 0.3617 0.6012 0.4353  1 U 2.12
La6 0.0000 0.0000 0.5000  8 O 2.41-2.51

---

The following is a DFT calculation (PBE) of a geometry-optimized LuTe structure.

Space group: Fm-3m (225)

a b c (Å): 4.2747 4.2747 4.2747
angles (deg): 60.00 60.00 60.00
With the nearest neighbours (Å) after each atom.
Element x y z (fractional)
Te1 0.5000 0.5000 0.5000  6 Lu 3.02
Lu1 0.0000 0.0000 0.0000  6 Te 3.02

---

Formation enthalpy at 0 K? In order: -3.912 -1.299 eV per atom.

=====

Below is a geometry-optimized Al2PbSe4 structure, with properties calculated at the r²SCAN level.

Cell: 6.259 10.921 6.302 Å, 90.00 119.64 90.00°
Atoms (fractional coordinates):
Al1 0.000 0.000 0.000
Al2 0.009 0.500 0.985
Al3 0.457 0.500 0.703
Al4 0.476 0.000 0.517
Pb1 0.739 0.250 0.249
Pb2 0.739 0.750 0.249
Se1 0.047 0.500 0.385
Se2 0.238 0.167 0.258
Se3 0.238 0.833 0.258
Se4 0.418 0.500 0.066
Se5 0.586 0.000 0.940
Se6 0.734 0.333 0.768
Se7 0.734 0.667 0.768
Se8 0.889 0.000 0.579

**Calculated formation energy**: -633 kJ/mol of formula units
**V**: 26.7 A^3/atom
**Symmetry**: Pm
**Size of the total moment**: 0.00 μB/atom

Retype only the last part of the notes earlier on, starting with the line that has "2.40-2.57".

La2 0.0000 0.5000 0.5000  8 O 2.40-2.57
O9 0.7231 0.8456 0.2515  2 U 2.24-2.37, 1 La 2.50
O10 0.9524 0.7716 0.6533  4 La 2.35-2.41
O11 0.2541 0.5998 0.7670  1 U 2.10
O12 0.6383 0.3988 0.5647  1 U 2.12
O13 0.5587 0.9974 0.8358  1 U 2.13
La3 0.8010 0.1032 0.1037  8 O 2.35-2.57
O14 0.5593 0.4655 0.8677  3 U 2.25-2.44
O15 0.8497 0.8058 0.9718  1 U 2.11
O16 0.6387 0.9388 0.5430  2 U 2.30-2.31, 1 O 2.46, 2 La 2.47-2.50
O17 0.3613 0.0612 0.4570  2 U 2.30-2.31, 1 O 2.46, 2 La 2.47-2.50
La4 0.6083 0.7011 0.7006  8 O 2.37-2.54
La5 0.3917 0.2989 0.2994  8 O 2.37-2.54
O18 0.1464 0.6556 0.0524  3 U 2.29-2.43, 1 La 2.51, 3 O 2.52-2.55
O19 0.1503 0.1942 0.0282  1 U 2.11
U4 0.8004 0.5969 0.0971  5 O 2.10-2.29
O20 0.3617 0.6012 0.4353  1 U 2.12
La6 0.0000 0.0000 0.5000  8 O 2.41-2.51

---

The following is a DFT calculation (PBE) of a geometry-optimized LuTe structure.

Space group: Fm-3m (225)

a b c (Å): 4.2747 4.2747 4.2747
angles (deg): 60.00 60.00 60.00
With the nearest neighbours (Å) after each atom.
Element x y z (fractional)
Te1 0.5000 0.5000 0.5000  6 Lu 3.02
Lu1 0.0000 0.0000 0.0000  6 Te 3.02

---

Formation enthalpy at 0 K? In order: -3.912 -1.299 eV per atom.

=====

Below is a geometry-optimized Al2PbSe4 structure, with properties calculated at the r²SCAN level.

Cell: 6.259 10.921 6.302 Å, 90.00 119.64 90.00°
Atoms (fractional coordinates):
Al1 0.000 0.000 0.000
Al2 0.009 0.500 0.985
Al3 0.457 0.500 0.703
Al4 0.476 0.000 0.517
Pb1 0.739 0.250 0.249
Pb2 0.739 0.750 0.249
Se1 0.047 0.500 0.385
Se2 0.238 0.167 0.258
Se3 0.238 0.833 0.258
Se4 0.418 0.500 0.066
Se5 0.586 0.000 0.940
Se6 0.734 0.333 0.768
Se7 0.734 0.667 0.768
Se8 0.889 0.000 0.579

**Calculated formation energy**: -633 kJ/mol of formula units
**V**: 26.7 A^3/atom
**Symmetry**: Pm
**Size of the total moment**: 0.00 μB/atom